I can’t resist sharing my new favourite things 🙂
New Favourite Song: Endless Hallelujah
This is my new favourite song that I have been listening to over the last week. The first time I heard I was captivated by the music and words, and I recognised some of them. Later as I looked it up I found that many of the original words were actually written by my hero Robert Murray M’Cheyne.
You might wonder why he’s my hero, but it’s because he inspired me so much when I read his biography. Then to my delight I ended up becoming a member of the church that he preached in, of course long after his death, and cycling often to the little village nearby where he used to go to pray, to pray myself.
Anyway here is the song, and the words are below it. Some of my favourite lines are ‘When I stand before Your throne’ – that immediately gives me hope and joy – and ‘no more tears or broken dreams’ – everything will be perfect one day! I don’t know if I agree with ‘forgotten is the minor key’ though, because I love minor keys, but I think they mean the sadness is forgotten 🙂
When I stand before Your throne
Dressed in glory not my own
What a joy I’ll sing of on that day
No more tears or broken dreams
Forgotten is the minor key
Everything as it was meant to be
And we will worship, worship
Forever in Your presence we will sing
We will worship, worship You
An endless hallelujah to the King
I will see You as You are
Love You with unsinning heart
And see how much You paid to bring me home
Not till then, Lord, shall I know
Not till then, how much I owe
Everything I am before Your throne
No more tears, no more shame
No more sin and sorrow ever known again
(1)
Computed, not measured: C17H17Br2ClNO3PtS2 as an isolated structure in a non-equilibrium geometry, with ωB97M-V with the def2-TZVPD basis set.

Structure (XYZ):
```
44
Properties=species:S:1:pos:R:3:lowdin_charge:R:1
Pt 0.065 0.034 0.544 0.966
C 0.891 4.717 1.422 -0.132
C 0.188 3.370 1.270 -0.766
S 0.728 1.998 2.071 0.720
C -0.918 3.209 0.370 -0.776
C -1.412 4.411 -0.406 -0.146
S -1.767 1.731 0.245 0.626
H 1.632 4.786 2.236 0.074
H 0.118 5.483 1.656 0.075
H 1.197 5.046 0.439 0.063
H -1.758 5.254 0.191 0.064
H -2.227 4.111 -1.092 0.061
H -0.637 4.905 -1.050 0.088
C 0.866 -1.394 -2.734 -0.063
C -0.224 -1.974 -1.917 -0.294
C -0.987 -3.014 -2.616 -0.058
C -1.653 -3.953 -1.850 -0.076
C -1.738 -3.750 -0.405 -0.167
C -2.134 -4.789 0.485 -0.517
Br -2.751 -6.647 0.214 0.661
C -2.304 -4.459 1.876 -0.223
C -2.060 -3.164 2.268 -0.596
Br -2.656 -2.627 3.990 0.765
C -1.498 -2.159 1.460 -0.413
O -1.126 -1.009 1.891 -0.205
C -1.227 -2.506 0.097 -0.136
N -0.466 -1.619 -0.628 -0.028
H 1.420 -0.553 -2.302 0.041
H 0.414 -1.087 -3.720 0.096
H 1.627 -2.159 -3.050 0.093
H -1.035 -2.994 -3.742 0.117
H -2.115 -4.800 -2.341 0.079
H -2.805 -5.205 2.535 0.082
Cl 2.924 -1.888 0.498 0.433
C 1.709 -0.932 1.407 -0.762
H 2.287 -0.166 1.940 -0.035
H 1.358 -1.632 2.184 0.002
C 3.179 2.586 -0.205 -0.058
O 2.585 1.228 -0.182 -0.217
C 1.309 1.103 -0.702 -0.634
O 0.977 1.715 -1.714 -0.027
H 3.079 3.092 0.765 0.055
H 2.698 3.229 -0.954 0.081
H 4.246 2.471 -0.442 0.083
```

Its expectation value of S² is 6.0628. The multiplicity is 5. The LUMO energy (alpha / beta) is 2.30 / 0.34 eV. For the HOMO-LUMO gap (alpha / beta), the calculation gives 0.1741 / 0.1920 Eh. Its charge is -1. The energy relative to the best compared isomer or geometry (same formula, charge and spin) is 0.8744 eV. As for the electronic energy: -7462.312351 Ha.

=====

(2)
Computed, not measured: one molecule with the formula C17H17BrN2O, with ωB97M-V with the def2-TZVPD basis set.

Structure (XYZ):
```
38
Properties=species:S:1:pos:R:3:lowdin_charge:R:1
C 1.065 0.779 -0.110 -0.015
C 0.741 0.267 1.256 -0.263
N 0.003 -0.737 1.537 0.104
N -0.525 -1.557 0.578 0.058
C 0.116 -2.132 -0.481 -0.481
O 1.274 -1.921 -0.768 0.072
C -0.767 -3.101 -1.252 -0.098
C -2.073 -2.452 -1.737 -0.149
C -1.800 -1.130 -2.401 -0.246
C -1.121 -1.079 -3.613 -0.036
C -0.831 0.134 -4.208 -0.076
C -1.220 1.317 -3.602 -0.091
C -1.903 1.278 -2.400 -0.095
C -2.188 0.061 -1.802 -0.064
C 1.271 0.988 2.424 -0.171
C 2.461 1.709 2.345 -0.026
C 2.960 2.372 3.451 -0.123
C 2.260 2.321 4.644 -0.682
Br 2.936 3.246 6.166 0.719
C 1.079 1.605 4.751 -0.121
C 0.595 0.939 3.644 -0.023
H 1.904 0.228 -0.537 0.089
H 1.299 1.840 -0.081 0.084
H 0.213 0.618 -0.771 0.063
H -1.361 -2.015 0.919 0.146
H -0.990 -3.966 -0.622 0.121
H -0.180 -3.445 -2.104 0.119
H -2.759 -2.305 -0.900 0.106
H -2.554 -3.131 -2.445 0.120
H -0.818 -1.998 -4.093 0.116
H -0.299 0.158 -5.148 0.103
H -0.993 2.265 -4.066 0.101
H -2.211 2.196 -1.920 0.105
H -2.718 0.040 -0.860 0.112
So much for the molecular data =
No more fears, no more pain
We will see You face to face
See You face to face
New Favourite Website: Scripture Typer
You can enter any Bible references you want, in any version, and it will automatically import them for you. You then have the option to ‘type’, ‘memorise’ or ‘master’ them.
Typing them helps you to memorise as you are going over it in your head each time. Memorising them means that they take some of the words out and you have to try to type it without them. Mastering means it is completely blank and you have to type it all from memory!
What I love about it is not only that it has these options, but that it keeps track of how many times you have reviewed them and when you need to review them next, and also gives you the option of only typing the first letter of each word which is great for if you are memorising a chapter and it would take you ages to type every word in!
I joined in Ann’s Romans Project which is to memorise Romans 1, 8 and 12 by the end of the year, although I’m not giving myself a deadline since I have other memorising going on.
But I would also like to invite you to join a project that I put on there. For a while now our church has been giving out what we consider the top 45 Bible verses which we consider will help you to minister to others in a pack of little cards called ‘Ministry Training’
I have added all of those to a new collection of the website called Ministry Training, and would love it if you could join in! The great thing about this website is that there is no time pressure, you can do it all in your own time, so if you memorise one verse a year it’s fine! You can just click on the link below and then join the site and then the group if you are interested, it’s all free.
United Kingdom, TX
Ministry Training
I also want to recommend their ‘Top 100’ collection that is on the website as they all look like really good scriptures to memorise too.
Linking up to Spiritual Sundays
Hi I popped over from Spiritual Sunday and very much enjoyed this. Matt Redman’s praise and worship music ministry has been such a blessing to me through the years and this is another lovely song he sings. Thank you for the uplifting visit.
I agree with Kaye. Matt Redmond has been and remains a blessing. So many of his songs are written in the old hymn style, one or two of them actually sound like old-time hymns.
We sometimes sing ‘Endless Hallelujah’ together in my wife’s small group. Lovely to listen, lovely to join in 🙂
Thanks for sharing it here, Rhoda.
It just may be one of my new favorites, too. What will it be like to love Jesus with sin-free heart?
Eager to check out the Scripture site.
Hi Kaye, yes I do like a lot of Matt Redman’s songs too. I think because of the style they are written in they can be easier to sing as congregation, and to remember, too.
Chris I’m jealous that you get to sing it in your small group!
Hi Pamela, I know – a sin free heart sounds so good, and loving Jesus like that must be amazing!
I am so happy that you showed me the Scripture Typer group. It is wonderful to memorise God’s Word, and to learn the verses in such a fun way too.
Yes often now when I have the choice I will review scripture on there rather than in the usual way because it’s more fun!